## Contents
********
# 1
# Tm12Co5Bi

A geometry-optimized Tm12Co5Bi structure (meta-GGA r2SCAN, the Materials Project database).

- V: 418.3 Å³ per cell
- E: -30.623 eV/atom

Lattice parameters (Å, degrees): 8.165 8.165 8.165 110.48 111.13 106.83
Positions (direct):
Tm 0.285 0.182 0.467
Tm 0.715 0.818 0.533
Tm 0.285 0.818 0.103
Tm 0.715 0.182 0.897
Tm 0.618 0.310 0.308
Tm 0.382 0.690 0.692
Tm 0.002 0.310 0.692
Tm 0.998 0.690 0.308
Tm 0.211 0.410 0.199
Tm 0.789 0.590 0.801
Tm 0.211 0.012 0.801
Tm 0.789 0.988 0.199
Co 0.000 0.380 0.380
Co 0.000 0.620 0.620
Co 0.389 0.889 0.500
Co 0.611 0.111 0.500
Co 0.000 0.000 0.000
Bi 0.500 0.500 0.000

# 2
# ZrFe6Ge6

A geometry-optimized ZrFe6Ge6 structure (meta-GGA r2SCAN, the Materials Project database).

- V: 181.2 Å³ per cell
- E: -15.000 eV/atom

Lattice parameters (Å, degrees): 5.062 5.062 8.165 90.00 90.00 120.00
Positions (direct):
Zr 0.000 0.000 0.000
Fe 0.500 0.000 0.250
Fe 0.500 0.500 0.250
Fe 0.000 0.500 0.250
Fe 0.500 0.500 0.750
Fe 0.000 0.500 0.750
Fe 0.500 0.000 0.750
Ge 0.333 0.667 0.000
Ge 0.667 0.333 0.000
Ge 0.000 0.000 0.343
Ge 0.667 0.333 0.500
Ge 0.333 0.667 0.500
Ge 0.000 0.000 0.657

# 3
# SmC2

A geometry-optimized SmC2 structure (meta-GGA r2SCAN, the Materials Project database).

- V: 45.3 Å³ per cell
- E: -16.869 eV/atom

Lattice parameters (Å, degrees): 3.773 3.773 4.151 117.03 117.03 90.00
Positions (direct):
Sm 0.000 0.000 0.000
C 0.602 0.602 0.203
C 0.398 0.398 0.797
********
## Work order
Now give back all of the lines further above word for word.
## Solution
# 1
# Tm12Co5Bi

A geometry-optimized Tm12Co5Bi structure (meta-GGA r2SCAN, the Materials Project database).

- V: 418.3 Å³ per cell
- E: -30.623 eV/atom

Lattice parameters (Å, degrees): 8.165 8.165 8.165 110.48 111.13 106.83
Positions (direct):
Tm 0.285 0.182 0.467
Tm 0.715 0.818 0.533
Tm 0.285 0.818 0.103
Tm 0.715 0.182 0.897
Tm 0.618 0.310 0.308
Tm 0.382 0.690 0.692
Tm 0.002 0.310 0.692
Tm 0.998 0.690 0.308
Tm 0.211 0.410 0.199
Tm 0.789 0.590 0.801
Tm 0.211 0.012 0.801
Tm 0.789 0.988 0.199
Co 0.000 0.380 0.380
Co 0.000 0.620 0.620
Co 0.389 0.889 0.500
Co 0.611 0.111 0.500
Co 0.000 0.000 0.000
Bi 0.500 0.500 0.000

# 2
# ZrFe6Ge6

A geometry-optimized ZrFe6Ge6 structure (meta-GGA r2SCAN, the Materials Project database).

- V: 181.2 Å³ per cell
- E: -15.000 eV/atom

Lattice parameters (Å, degrees): 5.062 5.062 8.165 90.00 90.00 120.00
Positions (direct):
Zr 0.000 0.000 0.000
Fe 0.500 0.000 0.250
Fe 0.500 0.500 0.250
Fe 0.000 0.500 0.250
Fe 0.500 0.500 0.750
Fe 0.000 0.500 0.750
Fe 0.500 0.000 0.750
Ge 0.333 0.667 0.000
Ge 0.667 0.333 0.000
Ge 0.000 0.000 0.343
Ge 0.667 0.333 0.500
Ge 0.333 0.667 0.500
Ge 0.000 0.000 0.657

# 3
# SmC2

A geometry-optimized SmC2 structure (meta-GGA r2SCAN, the Materials Project database).

- V: 45.3 Å³ per cell
- E: -16.869 eV/atom

Lattice parameters (Å, degrees): 3.773 3.773 4.151 117.03 117.03 90.00
Positions (direct):
Sm 0.000 0.000 0.000
C 0.602 0.602 0.203
C 0.398 0.398 0.797